The American Council on Germany mourns the passing of longtime Board member Dr. Henry A. Kissinger, a towering figure on the global stage whose statesmanship shaped history and who worked tirelessly to promote peace, understanding, and collaboration between nations – including his adopted and native countries. He was 100 years old, a milestone he had recently marked by visiting his place of birth, Fuerth, Germany.
At its 2011 McCloy Awards Dinner, the American Council on Germany honored former U.S. Secretary of State Dr. Kissinger with a McCloy Lifetime Achievement Award. In presenting him with the award, ACG Honorary Vice Chairman Paul A. Volcker said that “we are honoring you this evening for your loyalty to your adopted country, your ability to heal wounds among old enemies, your strategic vision, your persistent effort to seek stable and peaceful relations in an increasingly turbulent world, and for encouraging those of us who share those values.” Mr. Volcker also noted on that occasion that “The fact is, most of us don’t really know how to think about foreign policy anywhere in the world until Henry opines.”
The American Council on Germany honored Dr. Kissinger on two other prior occasions as well, including in connection with his 90th birthday, when the Council launched the Henry A. Kissinger Transatlantic Speaker Series. The series brought prominent Germans to the United States for policy discussions at the ACG’s Eric M. Warburg Chapters across the country looking at key topics on the German-American agenda. And in 1996, the ACG honored Dr. Kissinger at a gala dinner. Special guests included former German Foreign Minister Hans-Dietrich Genscher, UN Secretary-General Boutros Boutros-Ghali, Ambassador Richard Holbrooke, Die Zeit Editor Marion Gräfin Dönhoff, Maestro Kurt Masur, and ACG member and New York Yankees Principal Owner George M. Steinbrenner III. In response to tributes paid to him, Dr. Kissinger spoke movingly of the pride he felt in his German heritage and his confidence in the future of the land of his birth.
The American Council on Germany was fortunate to have Dr. Kissinger on its Board for more than 25 years, during which time he shared his guidance, his unwavering commitment to transatlantic cooperation, and his invaluable insights with members and friends of the ACG. He was a close confidant of founding ACG Chairman John J. McCloy, and his engagement in ACG programs spanned more than six decades.
Dr. Kissinger’s involvement in the ACG extended back to 1959, when he took part in a high-level conference of key American and German government officials, military officers, business executives, academics, and journalists in Bad Godesberg, Germany. U.S. delegate Lucius Clay, a founding member of the ACG, defined the purpose as trying “to develop between people of goodwill an understanding of each other’s problems, an understanding of the differences which are in our national aspirations, as we look at specific problems. If we can achieve that and can better understand why each one thinks as he does, we will have gone a long way to resolving the differences between us.” Among the other participants were Konrad Adenauer, Ludwig Erhard, and Dean Acheson. Dr. Kissinger brought to the table a keen intellect and a firm grasp of history and its implications.
Our thoughts are with Dr. Kissinger’s family at this difficult time. Dr. Kissinger will continue to be an inspiration to individuals across generations who are passionate about bridging divides and working toward a more interconnected world.

### These calculated crystals were left in the article by mistake
<<<
ErMg2Ga2 (PBE-GGA, relaxed); M_tot = 0.0 μB/f.u.; energy of formation from the pure elements = -0.290 eV/atom
1.0
4.9327 0.0000 0.0000
0.0000 3.6691 0.0000
-1.0276 0.0000 11.8799
Er Mg Ga
2 4 4
direct
0.1827 0.2500 0.2413
0.8173 0.7500 0.7587
0.2444 0.7500 0.4784
0.3372 0.2500 0.8826
0.6628 0.7500 0.1174
0.7556 0.2500 0.5216
0.1569 0.7500 0.0355
0.2872 0.2500 0.6589
0.7128 0.7500 0.3411
0.8431 0.2500 0.9645

~~~~~

First-principles (PBE) data for a relaxed K3TiCr2Se6 crystal, as listed in the Alexandria database.

Output
* crystal system: monoclinic
* space-group type: C2/m

Cell and atoms, written as extended XYZ:
```
12
Lattice="-5.378 3.259 2.363 0.633 -1.085 -6.599 -2.038 -7.218 2.131" Properties=species:S:1:pos:R:3 pbc="T T T"
K -1.381 -3.975 -4.050
K -3.392 -2.522 -1.052
K -5.402 -1.069 1.945
Cr -1.370 0.362 -3.613
Cr -3.375 1.811 -0.624
Ti 0.000 0.000 0.000
Se -2.473 -0.084 0.927
Se -0.447 -1.548 -2.094
Se -6.336 -3.496 -0.011
Se -4.310 -4.960 -3.032
Se -2.980 -5.304 0.572
Se -3.803 0.260 -2.677
```

---

First-principles (PBE) data for a relaxed K4Tm3CrSe8 crystal, as listed in the Alexandria database.

Output
* crystal system: trigonal
* space-group type: R-3m

Cell and atoms, written as extended XYZ:
```
16
Lattice="8.174 0.000 0.000 0.000 8.974 0.557 -4.087 -4.082 5.783" Properties=species:S:1:pos:R:3 pbc="T T T"
Se 4.087 0.470 3.384
Se 6.247 2.628 0.328
Se 0.000 4.421 2.956
Se -2.160 2.264 6.012
Se 4.087 4.411 3.113
Se 0.000 0.481 3.227
Se 1.927 2.628 0.328
Se 2.160 2.264 6.012
Tm 4.087 4.487 0.278
Tm 2.043 2.446 3.170
Tm -2.043 2.446 3.170
K 4.087 0.000 0.000
K 0.000 0.000 0.000
K -2.043 -2.041 2.892
K 2.043 -2.041 2.892
Cr 0.000 4.487 0.278
```

---

First-principles (PBE) data for a relaxed K2TmCrSe4 crystal, as listed in the Alexandria database.

Output
* crystal system: monoclinic
* space-group type: P2/m

Cell and atoms, written as extended XYZ:
```
8
Lattice="4.023 0.000 0.000 0.000 6.914 0.098 0.000 -2.457 7.577" Properties=species:S:1:pos:R:3 pbc="T T T"
Se 0.000 0.017 6.201
Se 2.012 3.200 6.151
Se 0.000 4.439 1.474
Se 2.012 1.257 1.525
Tm 0.000 0.000 0.000
K 2.012 -1.229 3.789
K 0.000 2.228 3.838
Cr 2.012 3.457 0.049
```

---

First-principles (PBE) data for a relaxed K2UCrSe4 crystal, as listed in the Alexandria database.

Output
* crystal system: monoclinic
* space-group type: P2/m

Cell and atoms, written as extended XYZ:
```
8
Lattice="-1.462 0.535 -3.864 1.166 -6.650 -1.362 -7.467 0.576 2.905" Properties=species:S:1:pos:R:3 pbc="T T T"
Cr 0.000 0.000 0.000
Se -5.666 -1.204 1.978
Se -5.858 -4.457 -0.646
Se -0.635 -4.870 -0.434
Se -1.905 -1.083 -1.675
K -3.150 -3.037 0.772
K -4.464 0.555 -0.479
U -0.148 -3.058 -2.613
```

---

First-principles (PBE) data for a relaxed K3U3CrSe8 crystal, as listed in the Alexandria database.

Output
* crystal system: trigonal
* space-group type: R-3m

Cell and atoms, written as extended XYZ:
```
15
>>>
### The article goes on
Dr. Kissinger accepting a McCloy Lifetime Achievement Award from
********
No. 1
# Rb2AgHg6Au (PBE-GGA, optimized geometry)
# **Formation energy from the elements**: -135 meV per atom
# **Density of states at the Fermi level**: 3.79 states/eV/f.u.
# **Space-group type**: C2/m (12)
data_Rb2AgHg6Au
_chemical_formula_sum 'Rb2 Ag1 Hg6 Au1'
_symmetry_space_group_name_H-M 'P 1'
_symmetry_Int_Tables_number 1
_symmetry_space_group_name_Hall 'P 1'
_cell_length_a 7.8381
_cell_length_b 7.8381
_cell_length_c 7.6874
_cell_angle_alpha 119.10
_cell_angle_beta 119.10
_cell_angle_gamma 90.02
loop_
_atom_site_label
_atom_site_type_symbol
_atom_site_fract_x
_atom_site_fract_y
_atom_site_fract_z
Rb1 Rb 0.2498 0.7502 0.0000
Rb2 Rb 0.7502 0.2498 0.0000
Ag1 Ag 0.0000 0.0000 0.5000
Hg1 Hg 0.2503 0.2503 0.5017
Hg2 Hg 0.2495 0.7505 0.5000
Hg3 Hg 0.2505 0.2505 0.9992
Hg4 Hg 0.7495 0.7495 0.0008
Hg5 Hg 0.7505 0.2495 0.5000
Hg6 Hg 0.7497 0.7497 0.4983
Au1 Au 0.5000 0.5000 0.5000


No. 2
# Sc2AgTe4 (PBE-GGA, optimized geometry)
# **Density of states at the Fermi level**: 3.17 states/eV/f.u.
# **ΔE_f (raw)**: -75.0 kJ per mole of atoms
# **Space-group type**: Cmcm (63)
data_Sc2AgTe4
_chemical_formula_sum 'Sc4 Ag2 Te8'
_symmetry_space_group_name_H-M 'P 1'
_symmetry_Int_Tables_number 1
_symmetry_space_group_name_Hall 'P 1'
_cell_length_a 7.0567
_cell_length_b 7.0567
_cell_length_c 14.7578
_cell_angle_alpha 90.00
_cell_angle_beta 90.00
_cell_angle_gamma 146.85
loop_
_atom_site_label
_atom_site_type_symbol
_atom_site_fract_x
_atom_site_fract_y
_atom_site_fract_z
Sc1 Sc 0.1391 0.8609 0.5643
Sc2 Sc 0.1391 0.8609 0.9357
Sc3 Sc 0.8609 0.1391 0.0643
Sc4 Sc 0.8609 0.1391 0.4357
Ag1 Ag 0.4018 0.5982 0.7500
Ag2 Ag 0.5982 0.4018 0.2500
Te1 Te 0.0478 0.9522 0.7500
Te2 Te 0.2211 0.7789 0.1205
Te3 Te 0.2211 0.7789 0.3795
Te4 Te 0.5000 0.5000 0.0000
Te5 Te 0.5000 0.5000 0.5000
Te6 Te 0.7789 0.2211 0.6205
Te7 Te 0.7789 0.2211 0.8795
Te8 Te 0.9522 0.0478 0.2500


No. 3
# CdNi3 (PBE-GGA, optimized geometry)
# **Formation energy from the elements**: 175 meV per atom
# **Density of states at the Fermi level**: 5.44 states/eV/f.u.
# **Space-group type**: Cmmm (65)
data_CdNi3
_chemical_formula_sum 'Cd1 Ni3'
_symmetry_space_group_name_H-M 'P 1'
_symmetry_Int_Tables_number 1
_symmetry_space_group_name_Hall 'P 1'
_cell_length_a 4.4973
_cell_length_b 4.4973
_cell_length_c 2.7123
_cell_angle_alpha 90.00
_cell_angle_beta 90.00
_cell_angle_gamma 107.32
loop_
_atom_site_label
_atom_site_type_symbol
_atom_site_fract_x
_atom_site_fract_y
_atom_site_fract_z
Cd1 Cd 0.0000 0.0000 0.0000
Ni1 Ni 0.0000 0.5000 0.5000
Ni2 Ni 0.5000 0.0000 0.5000
Ni3 Ni 0.5000 0.5000 0.0000


No. 4
# Hf6CuPd12 (PBE-GGA, optimized geometry)
# **Formation energy from the elements**: -600 meV per atom
# **Density of states at the Fermi level**: 8.66 states/eV/f.u.
# **Space-group type**: R-3 (148)
data_Hf6CuPd12
_chemical_formula_sum 'Hf6 Cu1 Pd12'
_symmetry_space_group_name_H-M 'P 1'
_symmetry_Int_Tables_number 1
_symmetry_space_group_name_Hall 'P 1'
_cell_length_a 6.9275
_cell_length_b 6.9275
********
## Here the article continues
ACG Honorary Vice Chairman Paul A. Volcker at the ACG’s 2011 McCloy Awards Dinner
# Unrelated to this piece: records of crystals
<<<
(1)
Material: ScAg2Rh
Method: DFT, PBE
State: optimized geometry

It has space group Fm-3m (No. 225), with a = 6.5491 Å, b = 6.5491 Å, c = 6.5491 Å, α = 90.00°, β = 90.00° and γ = 90.00°. The inequivalent atoms are Sc at (0.0000, 0.0000, 0.0000), Ag at (0.2500, 0.2500, 0.2500) and Rh at (0.0000, 0.0000, 0.5000).

The calculated total energy comes out at -5.0102 eV per atom. The energy relative to the elements comes out at -0.16 eV/atom. For the total magnetization, the calculation gives 0.0 μB per formula unit. As for the density: 8.6 g/cm³. The volume comes out at 17.56 Å³/atom.

(2)
Material: Nd3Dy4Er3
Method: DFT, PBE
State: optimized geometry

It has space group Amm2 (No. 38), with a = 3.6954 Å, b = 13.2765 Å, c = 13.3638 Å, α = 90.00°, β = 90.00° and γ = 90.00°. The inequivalent atoms are Nd at (0.0000, 0.0000, 0.0000), Nd at (0.0000, 0.1734, 0.6717), Dy at (0.5000, 0.0000, 0.5446), Dy at (0.5000, 0.0000, 0.7988), Dy at (0.5000, 0.1253, 0.1755), Er at (0.0000, 0.0000, 0.3461) and Er at (0.5000, 0.2457, 0.4206).

The calculated total energy comes out at -4.5382 eV per atom. The energy relative to the elements comes out at 0.10 eV/atom. For the total magnetization, the calculation gives 0.0 μB per formula unit. As for the density: 8.0 g/cm³. The volume comes out at 32.78 Å³/atom.

(3)
Material: CsBe3Cl
Method: DFT, PBE
State: optimized geometry

It has space group Pm-3m (No. 221), with a = 5.4246 Å, b = 5.4246 Å, c = 5.4246 Å, α = 90.00°, β = 90.00° and γ = 90.00°. The inequivalent atoms are Cs at (0.0000, 0.0000, 0.0000), Be at (0.0000, 0.5000, 0.5000) and Cl at (0.5000, 0.5000, 0.5000).

The calculated total energy comes out at -1.3177 eV per atom. For the total magnetization, the calculation gives 0.0 μB per formula unit. As for the density: 2.0 g/cm³. Its formation energy (no corrections) is 1458.1 meV per atom. The volume comes out at 31.93 Å³/atom.

(4)
Material: Nb2Ru2Br
Method: DFT, PBE
State: optimized geometry

It has space group P4/mbm (No. 127), with a = 7.6369 Å, b = 7.6369 Å, c = 3.0880 Å, α = 90.00°, β = 90.00° and γ = 90.00°. The inequivalent atoms are Nb at (0.1496, 0.3504, 0.0000), Ru at (0.1346, 0.6346, 0.5000) and Br at (0.0000, 0.0000, 0.0000).

The calculated total energy comes out at -7.9400 eV per atom. For the total magnetization, the calculation gives 0.0 μB per formula unit. As for the density: 8.6 g/cm³. Its formation energy (no corrections) is 132.8 meV per atom. The volume comes out at 18.01 Å³/atom.

(5)
Material: GeBi2Pt2
Method: DFT, PBE
State: optimized geometry

It has space group C2/m (No. 12), with a = 13.1255 Å, b = 3.6412 Å, c = 11.0879 Å, α = 90.00°, β = 121.59° and γ = 90.00°. The inequivalent atoms are Ge at (0.2261, 0.0000, 0.3811), Bi at (0.0539, 0.5000, 0.7038), Bi at (0.1545, 0.5000, 0.0624), Pt at (0.0362, 0.0000, 0.1493) and Pt at (0.1192, 0.0000, 0.5192).
>>>

Dr. Kissinger at the 2014 McCloy Awards Dinner with Ursula von der Leyen, then German Federal Minister of Defense

Dr. Kissinger at an ACG event with Chancellor Angela Merkel in 2006